Activity >
It remains to return everything further down word for word.

Given >
=====
(1)
The following is a PBE calculation of crystalline LiTb2Sn3Se6 at its relaxed geometry, from the Alexandria database.

The value obtained for the magnetic moment is 0.0 μB per formula unit. The total energy is -4.677 eV/atom. As for the crystal system: monoclinic. The calculation puts the formation energy (no corrections) at -1.00 eV per atom. Its symmetry is C2/m.

The structure in extended XYZ format:
```
12
Lattice="9.227 -2.153 0.000 9.227 2.153 0.000 -2.217 0.000 8.066" Properties=species:S:1:pos:R:3 pbc="T T T"
Li 0.000 0.000 0.000
Tb 4.692 0.000 5.424
Tb 11.544 0.000 2.642
Sn -1.109 0.000 4.033
Sn 5.976 0.000 1.160
Sn 10.260 0.000 6.906
Se 2.844 0.000 0.716
Se 1.891 0.000 4.579
Se 7.441 0.000 6.115
Se 8.795 0.000 1.950
Se 14.345 0.000 3.487
Se 13.392 0.000 7.350
```

---

(2)
The following is a PBE calculation of crystalline Mo2HRuAu at its relaxed geometry, from the Alexandria database.

The value obtained for the magnetic moment is 0.0 μB per formula unit. The total energy is -7.373 eV/atom. As for the crystal system: tetragonal. Its symmetry is P4/mmm.

The structure in extended XYZ format:
```
5
Lattice="3.973 0.000 0.000 0.000 3.973 0.000 0.000 0.000 4.074" Properties=species:S:1:pos:R:3 pbc="T T T"
Mo 0.000 1.987 0.000
Mo 1.987 0.000 0.000
H 0.000 0.000 0.000
Ru 0.000 0.000 2.037
Au 1.987 1.987 2.037
```

~~~~~

No. 1
## Tm3GeP2Rh8 (GGA-PBE)

Data for Tm3GeP2Rh8 after structural relaxation.

Results
**Spin magnetization**: 0.00 μB per atom
**Theoretical density**: 10.413 g cm⁻³
**Calculated volume**: 234 Å³/cell
**Calculated total energy**: -98.1 eV/cell
**Energy of formation**: -744 meV per atom

a = 5.4018 Å, b = 5.4018 Å, c = 9.2422 Å
α = 90.00°, β = 90.00°, γ = 120.00°
Space group P-3m1 (No. 164)
Inequivalent atoms, fractional coordinates:
Tm  0.0000  0.0000  0.0000
Tm  0.3333  0.6667  0.5624
Ge  0.0000  0.0000  0.5000
P  0.3333  0.6667  0.0985
Rh  0.1649  0.3299  0.2779
Rh  0.3333  0.6667  0.8608

No. 2
## SmTc2B6 (GGA-PBE)

Data for SmTc2B6 after structural relaxation.

Results
**Spin magnetization**: 0.00 μB per atom
**Theoretical density**: 7.682 g cm⁻³
**Calculated volume**: 89 Å³/cell
**Calculated total energy**: -67.3 eV/cell
**Energy of formation**: -199 meV per atom

a = 5.3489 Å, b = 5.3489 Å, c = 3.5875 Å
α = 90.00°, β = 90.00°, γ = 120.00°
Space group P6/mmm (No. 191)
Inequivalent atoms, fractional coordinates:
Sm  0.0000  0.0000  0.0000
Tc  0.3333  0.6667  0.0000
B  0.0000  0.3428  0.5000

No. 3
## BiP2PdCl (GGA-PBE)

Data for BiP2PdCl after structural relaxation.

Results
**Spin magnetization**: 0.31 μB per atom
**Theoretical density**: 4.580 g cm⁻³
**Calculated volume**: 150 Å³/cell
**Calculated total energy**: -16.2 eV/cell
**ΔE_f (raw)**: 1115 meV/atom

a = 5.330 Å, b = 5.330 Å, c = 5.268 Å
α = 90.00°, β = 90.00°, γ = 90.00°
Space group P4/mmm (No. 123)
Inequivalent atoms, fractional coordinates:
Bi  0.000  0.000  0.000
P  0.000  0.500  0.000
Pd  0.500  0.500  0.500
Cl  0.000  0.000  0.500

No. 4
## Ho2ZrSc6 (GGA-PBE)

Data for Ho2ZrSc6 after structural relaxation.

Results
**Spin magnetization**: 0.24 μB per atom
**Theoretical density**: 4.923 g cm⁻³
**Calculated volume**: 233 Å³/cell
**Calculated total energy**: -55.1 eV/cell
**Energy of formation**: 69 meV per atom

a = 3.3386 Å, b = 3.3386 Å, c = 24.1413 Å
α = 90.00°, β = 90.00°, γ = 120.00°
Space group P-6m2 (No. 187)
Inequivalent atoms, fractional coordinates:
Ho  0.0000  0.0000  0.1745
Zr  0.6667  0.3333  0.5000
Sc  0.0000  0.0000  0.3960
Sc  0.6667  0.3333  0.0623
Sc  0.6667  0.3333  0.2886

No. 5
## Nd2BeBPt6 (GGA-PBE)

Data for Nd2BeBPt6 after structural relaxation.

Results
**Spin magnetization**: 0.00 μB per atom
**Theoretical density**: 14.382 g cm⁻³
**Calculated volume**: 341 Å³/cell
**Calculated total energy**: -130.4 eV/cell
**Energy of formation**: -901 meV per atom

a = 5.754 Å, b = 5.754 Å, c = 10.313 Å
α = 90.00°, β = 90.00°, γ = 90.00°
Space group I4mm (No. 107)
Inequivalent atoms, fractional coordinates:
=====

Worked solution >
(1)
The following is a PBE calculation of crystalline LiTb2Sn3Se6 at its relaxed geometry, from the Alexandria database.

The value obtained for the magnetic moment is 0.0 μB per formula unit. The total energy is -4.677 eV/atom. As for the crystal system: monoclinic. The calculation puts the formation energy (no corrections) at -1.00 eV per atom. Its symmetry is C2/m.

The structure in extended XYZ format:
```
12
Lattice="9.227 -2.153 0.000 9.227 2.153 0.000 -2.217 0.000 8.066" Properties=species:S:1:pos:R:3 pbc="T T T"
Li 0.000 0.000 0.000
Tb 4.692 0.000 5.424
Tb 11.544 0.000 2.642
Sn -1.109 0.000 4.033
Sn 5.976 0.000 1.160
Sn 10.260 0.000 6.906
Se 2.844 0.000 0.716
Se 1.891 0.000 4.579
Se 7.441 0.000 6.115
Se 8.795 0.000 1.950
Se 14.345 0.000 3.487
Se 13.392 0.000 7.350
```

---

(2)
The following is a PBE calculation of crystalline Mo2HRuAu at its relaxed geometry, from the Alexandria database.

The value obtained for the magnetic moment is 0.0 μB per formula unit. The total energy is -7.373 eV/atom. As for the crystal system: tetragonal. Its symmetry is P4/mmm.

The structure in extended XYZ format:
```
5
Lattice="3.973 0.000 0.000 0.000 3.973 0.000 0.000 0.000 4.074" Properties=species:S:1:pos:R:3 pbc="T T T"
Mo 0.000 1.987 0.000
Mo 1.987 0.000 0.000
H 0.000 0.000 0.000
Ru 0.000 0.000 2.037
Au 1.987 1.987 2.037
```

~~~~~

No. 1
## Tm3GeP2Rh8 (GGA-PBE)

Data for Tm3GeP2Rh8 after structural relaxation.

Results
**Spin magnetization**: 0.00 μB per atom
**Theoretical density**: 10.413 g cm⁻³
**Calculated volume**: 234 Å³/cell
**Calculated total energy**: -98.1 eV/cell
**Energy of formation**: -744 meV per atom

a = 5.4018 Å, b = 5.4018 Å, c = 9.2422 Å
α = 90.00°, β = 90.00°, γ = 120.00°
Space group P-3m1 (No. 164)
Inequivalent atoms, fractional coordinates:
Tm  0.0000  0.0000  0.0000
Tm  0.3333  0.6667  0.5624
Ge  0.0000  0.0000  0.5000
P  0.3333  0.6667  0.0985
Rh  0.1649  0.3299  0.2779
Rh  0.3333  0.6667  0.8608

No. 2
## SmTc2B6 (GGA-PBE)

Data for SmTc2B6 after structural relaxation.

Results
**Spin magnetization**: 0.00 μB per atom
**Theoretical density**: 7.682 g cm⁻³
**Calculated volume**: 89 Å³/cell
**Calculated total energy**: -67.3 eV/cell
**Energy of formation**: -199 meV per atom

a = 5.3489 Å, b = 5.3489 Å, c = 3.5875 Å
α = 90.00°, β = 90.00°, γ = 120.00°
Space group P6/mmm (No. 191)
Inequivalent atoms, fractional coordinates:
Sm  0.0000  0.0000  0.0000
Tc  0.3333  0.6667  0.0000
B  0.0000  0.3428  0.5000

No. 3
## BiP2PdCl (GGA-PBE)

Data for BiP2PdCl after structural relaxation.

Results
**Spin magnetization**: 0.31 μB per atom
**Theoretical density**: 4.580 g cm⁻³
**Calculated volume**: 150 Å³/cell
**Calculated total energy**: -16.2 eV/cell
**ΔE_f (raw)**: 1115 meV/atom

a = 5.330 Å, b = 5.330 Å, c = 5.268 Å
α = 90.00°, β = 90.00°, γ = 90.00°
Space group P4/mmm (No. 123)
Inequivalent atoms, fractional coordinates:
Bi  0.000  0.000  0.000
P  0.000  0.500  0.000
Pd  0.500  0.500  0.500
Cl  0.000  0.000  0.500

No. 4
## Ho2ZrSc6 (GGA-PBE)

Data for Ho2ZrSc6 after structural relaxation.

Results
**Spin magnetization**: 0.24 μB per atom
**Theoretical density**: 4.923 g cm⁻³
**Calculated volume**: 233 Å³/cell
**Calculated total energy**: -55.1 eV/cell
**Energy of formation**: 69 meV per atom

a = 3.3386 Å, b = 3.3386 Å, c = 24.1413 Å
α = 90.00°, β = 90.00°, γ = 120.00°
Space group P-6m2 (No. 187)
Inequivalent atoms, fractional coordinates:
Ho  0.0000  0.0000  0.1745
Zr  0.6667  0.3333  0.5000
Sc  0.0000  0.0000  0.3960
Sc  0.6667  0.3333  0.0623
Sc  0.6667  0.3333  0.2886

No. 5
## Nd2BeBPt6 (GGA-PBE)

Data for Nd2BeBPt6 after structural relaxation.

Results
**Spin magnetization**: 0.00 μB per atom
**Theoretical density**: 14.382 g cm⁻³
**Calculated volume**: 341 Å³/cell
**Calculated total energy**: -130.4 eV/cell
**Energy of formation**: -901 meV per atom

a = 5.754 Å, b = 5.754 Å, c = 10.313 Å
α = 90.00°, β = 90.00°, γ = 90.00°
Space group I4mm (No. 107)
Inequivalent atoms, fractional coordinates: